Markey, Fortenberry Call on Obama to Halt Russian Production of Medical Isotopes Using Highly Enriched Uranium
WASHINGTON, D.C. – Representative Edward J. Markey (D-Mass), House co-author of the American Medical Isotopes Production Act and co-chair of the bipartisan Caucuses on Nonproliferation, and Rep. Jeff Fortenberry (R-Neb.) wrote to President Obama today urging him to pressure Russia to end their plan to produce medical isotopes using highly enriched uranium (HEU), which would be in direct conflict with several major nonproliferation agreements signed between both nations. Additionally, the lawmakers expressed concern that the Russian plan would put American jobs at risk by undermining domestic efforts to produce a stable source of medical isotopes from proliferation-resistant low enriched uranium. Medical isotopes are used in critical medical procedures to detect heart disease, cancer and other diseases. In fall 2010 the Russian Federation announced its initiative to use HEU to produce the medical isotope molybdenum-99 for the global market.
This decision raises nuclear nonproliferation concerns and sends a conflicting message to the international community from what should be one of our strongest global partners in achieving nuclear security,” wrote Reps. Markey and Fortenberry in the letter to President Obama.
+++
Starting from a GGA-PBE-relaxed structure, the powder diffraction line list of Ba6PtBr was calculated for Cu Kα.
No peak broadening, texture or thermal motion is included.

Cell and atoms:
Cell: 8.0662 8.0662 15.2918 Å, 90.00 90.00 120.00°
Space group P-31c (No. 163)
Symmetry-distinct sites (fractional):
1 Ba 0.0086 0.3240 0.1181 [12 per cell]
2 Pt 0.0000 0.0000 0.0000 [2 per cell]
3 Br 0.3333 0.6667 0.7500 [2 per cell]

Peak list (8 most intense, 15° ≤ 2θ ≤ 90°, by angle)
- 17.19°, rel. 288
- 24.96°, rel. 1000
- 32.26°, rel. 502
- 38.67°, rel. 369
- 41.93°, rel. 255
- 46.58°, rel. 173
- 62.09°, rel. 150
- 62.90°, rel. 187

~~~~~

1.
Computed PXRD pattern of SrCd2InAu for copper Kα, from DFT lattice parameters and positions (PBE).
Kinematic intensities with the Lorentz-polarization factor, no thermal factor.

Crystal structure
```
data_SrCd2InAu
_cell_length_a 4.416
_cell_length_b 4.679
_cell_length_c 12.847
_cell_angle_alpha 90.00
_cell_angle_beta 90.00
_cell_angle_gamma 90.00
_space_group_name_H-M_alt 'I m m 2'
_space_group_IT_number 44
_space_group_name_Hall 'I 2 -2'
loop_
_atom_site_label
_atom_site_type_symbol
_atom_site_fract_x
_atom_site_fract_y
_atom_site_fract_z
_atom_site_occupancy
Sr1 Sr 0.000 0.000 0.000 1
Cd1 Cd 0.000 0.000 0.618 1
Cd2 Cd 0.000 0.500 0.272 1
In1 In 0.000 0.500 0.761 1
Au1 Au 0.000 0.000 0.404 1
```

Most intense lines, 2θ from 15° to 90°, low angle first:
d/Å, Position (°2θ), I (rel.)
4.397, 20.20, 22
4.176, 21.28, 23
3.159, 28.25, 17
3.074, 29.05, 24
2.872, 31.14, 100
2.340, 38.48, 36
2.271, 39.69, 62
2.252, 40.03, 30
2.221, 40.62, 19
2.208, 40.87, 30
1.606, 57.38, 28
1.577, 58.55, 19

=====

2.
Computed PXRD pattern of BaLa2Sn6 for copper Kα, from DFT lattice parameters and positions (PBE).
Kinematic intensities with the Lorentz-polarization factor, no thermal factor.

Crystal structure
```
data_BaLa2Sn6
_cell_length_a 4.667
_cell_length_b 8.729
_cell_length_c 15.170
_cell_angle_alpha 90.00
_cell_angle_beta 90.00
_cell_angle_gamma 90.00
_space_group_name_H-M_alt 'I m m m'
_space_group_IT_number 71
_space_group_name_Hall '-I 2 2'
loop_
_atom_site_label
_atom_site_type_symbol
_atom_site_fract_x
_atom_site_fract_y
_atom_site_fract_z
_atom_site_occupancy
Ba1 Ba 0.000 0.000 0.000 1
La1 La 0.000 0.500 0.131 1
Sn1 Sn 0.000 0.182 0.500 1
Sn2 Sn 0.000 0.281 0.310 1
```

Most intense lines, 2θ from 15° to 90°, low angle first:
d/Å, Position (°2θ), I (rel.)
3.784, 23.51, 17
3.618, 24.61, 36
3.120, 28.61, 100
2.864, 31.23, 18
2.789, 32.09, 44
2.697, 33.22, 18
2.544, 35.28, 37
2.524, 35.57, 65
2.334, 38.58, 35
2.198, 41.07, 30
1.713, 53.48, 41
1.459, 63.77, 20

=====

3.
Computed PXRD pattern of PmPrTlBr for copper Kα, from DFT lattice parameters and positions (PBE).
Kinematic intensities with the Lorentz-polarization factor, no thermal factor.

Crystal structure
```
data_PmPrTlBr
_cell_length_a 7.756
_cell_length_b 7.756
_cell_length_c 7.756
_cell_angle_alpha 90.00
_cell_angle_beta 90.00
_cell_angle_gamma 90.00
+++
_The entry goes on_
A full copy of the letter to President Obama can be found HERE .
/*
[1]
Theoretical X-ray powder pattern of Ba11Nb6S28 for Cu Ka, from a PBE-relaxed structure.
Neutral-atom scattering factors, no anomalous dispersion.

Peak list (10 most intense, 2θ from 15° to 90°, sorted by position)
2θ 22.4, d = 3.975 Å, intensity 867, (0 2 -3); 2θ 25.4, d = 3.511 Å, intensity 990, (2 0 -1); 2θ 25.5, d = 3.492 Å, intensity 829, (1 -3 0); 2θ 25.6, d = 3.475 Å, intensity 940, (1 3 -1); 2θ 31.8, d = 2.812 Å, intensity 611, (0 0 5); 2θ 33.1, d = 2.708 Å, intensity 454, (-2 2 3); 2θ 33.2, d = 2.700 Å, intensity 1000, (2 2 1); 2θ 34.0, d = 2.640 Å, intensity 533, (2 -2 2); 2θ 34.2, d = 2.623 Å, intensity 466, (2 2 -4); 2θ 34.4, d = 2.607 Å, intensity 401, (0 4 2)

Structure:
```
data_Ba11Nb6S28
_cell_length_a 7.020
_cell_length_b 12.036
_cell_length_c 14.628
_cell_angle_alpha 98.12
_cell_angle_beta 103.64
_cell_angle_gamma 90.33
_symmetry_space_group_name_H-M 'P 1'
_symmetry_Int_Tables_number 1
loop_
_symmetry_equiv_pos_as_xyz
'x,y,z'
loop_
_atom_site_label
_atom_site_type_symbol
_atom_site_fract_x
_atom_site_fract_y
_atom_site_fract_z
Ba1 Ba 0.000 0.000 0.000
Ba2 Ba 0.023 0.623 0.006
Ba3 Ba 0.137 0.375 0.220
Ba4 Ba 0.232 0.742 0.402
Ba5 Ba 0.339 0.448 0.610
Ba6 Ba 0.428 0.803 0.792
Ba7 Ba 0.532 0.197 0.011
Ba8 Ba 0.644 0.876 0.216
Ba9 Ba 0.732 0.242 0.400
Ba10 Ba 0.836 0.936 0.608
Ba11 Ba 0.924 0.307 0.790
Nb1 Nb 0.170 0.043 0.268
Nb2 Nb 0.288 0.098 0.504
Nb3 Nb 0.389 0.130 0.737
Nb4 Nb 0.660 0.558 0.271
Nb5 Nb 0.795 0.585 0.504
Nb6 Nb 0.899 0.634 0.739
S1 S 0.079 0.695 0.611
S2 S 0.088 0.188 0.606
S3 S 0.137 0.868 0.178
S4 S 0.179 0.350 0.005
S5 S 0.185 0.065 0.822
S6 S 0.190 0.555 0.811
S7 S 0.231 0.239 0.400
S8 S 0.331 0.946 0.607
S9 S 0.369 0.128 0.189
S10 S 0.377 0.625 0.189
S11 S 0.436 0.313 0.807
S12 S 0.470 0.991 0.394
S13 S 0.487 0.497 0.403
S14 S 0.489 0.936 0.002
S15 S 0.583 0.189 0.605
S16 S 0.602 0.694 0.614
S17 S 0.635 0.370 0.209
S18 S 0.650 0.790 0.004
S19 S 0.683 0.557 0.813
S20 S 0.687 0.060 0.814
S21 S 0.731 0.737 0.401
S22 S 0.833 0.443 0.607
S23 S 0.874 0.121 0.194
S24 S 0.881 0.350 0.004
S25 S 0.896 0.626 0.204
S26 S 0.956 0.810 0.830
S27 S 0.985 0.493 0.405
S28 S 0.991 0.989 0.395
```

***

[2]
Theoretical X-ray powder pattern of Ba6Nb5S17 for Cu Ka, from a PBE-relaxed structure.
Neutral-atom scattering factors, no anomalous dispersion.

Peak list (10 most intense, 2θ from 15° to 90°, sorted by position)
2θ 21.3, d = 4.170 Å, intensity 505, (2 1 0); 2θ 21.4, d = 4.159 Å, intensity 253, (1 0 2); 2θ 25.4, d = 3.504 Å, intensity 482, (1 1 -2); 2θ 26.0, d = 3.423 Å, intensity 1000, (-2 1 1); 2θ 31.0, d = 2.889 Å, intensity 258, (2 2 2); 2θ 33.5, d = 2.673 Å, intensity 703, (-1 1 3); 2θ 33.6, d = 2.666 Å, intensity 546, (3 1 -1); 2θ 34.3, d = 2.613 Å, intensity 414, (3 -1 1); 2θ 34.4, d = 2.604 Å, intensity 271, (3 2 1); 2θ 53.5, d = 1.712 Å, intensity 330, (-4 2 2)

Structure:
```
data_Ba6Nb5S17
_cell_length_a 8.939
_cell_length_b 8.990
_cell_length_c 9.074
_cell_angle_alpha 83.66
_cell_angle_beta 83.93
*/
## The data records stop here
Russian production of isotopes with HEU would be in direct conflict with the U.S.-Russia and U.N. nonproliferation agreements embodied in the Joint Statement by President Obama and Russian President Medvedev in 2009 and UN Security Council Resolution 1887 in 2009. In Spring 2010 Russia strengthened its commitment to the phase out of HEU use for medical isotope production by signing on to the Work Plan of the 2010 Nuclear Security Summit.
Please ask Russia to make good on its commitment to phase out the use of HEU for making medical isotopes and other civilian uses and to stop subsidizing these efforts that risk our mutual nonproliferation goals,” write Reps. Markey and Fortenberry. “By persuading Russia to take these steps, you can both bolster our nuclear security and level the playing field for and American isotope industry to develop.”
Consistent with the conclusion from the National Academy of Sciences that found full-phase out of HEU-based medical isotope production can be achieved by 2016 to 2019, the Markey-authored 2010 American Medical Isotopes Act is intended to create a domestic source of medical isotopes from low enriched uranium sources. Rep. Markey plans to reintroduce the legislation this Congress.